Shortly after waking up Braylon exclaimed "it's your burfday mama.... You three yayyyyy!!!" (He thinks everyone is two like him so apparently I am three since I had a birthday haha.) after I told him I was actually twenty two he has been telling me "yay momma your two two". Which reminds me, I was thinking 22 was still pretty young until a little one at church told me "wow your going to be 22 on Sunday but 21 today" (this was earlier in the week) I said yes that's right! And he said "wow so you have already been 1 2 3 4 5 6 7 8 9 10 11 12 13 14 15 16 17 18 19 20 21 and now you will be 22 that's cool! I have only been 1 2 3 and will be 4 next. 22 never sounded so old until he counted up to it!
But then I began to think how awesome it is that I have lived for 22 years, experienced life for 22 years. It's pretty awesome, so many memories. I started to reminisce, Looking through photo albums, recalling stories, telling Braylon some of them. Going back and seeing how God had worked in my life from placing me into my parents loving arms at a 7 days old, being raised in church, proclaiming Christ as my Lord and savior, stumbling and being dusted off, graduating high school, being blessed with a healthy handsome son, getting engaged, graduating undergrad, being accepted into my first choice law school.... Knowing God has been beside me every step of the way, and not knowing what all he has planned for my future but knowing that he has a plan for my life, a purpose.... Wow!!! What an awesome feeling.
Then suddenly, I came to a realization. One that I have always known, but for some reason effected me differently than it had before. Out of the the 8,030 days I have been on this earth, the 694 252 371
Here the page breaks off for crystal structures:
'''
(1)
Ti2BPb: relaxed, GGA-PBE.

Properties
N(E_F) = 7.58 states/eV per cell
polymorph energy (0 for the lowest one) = 41.1 kJ/mol of atoms
symmetry = Fm-3m
formation energy = 2.47 eV per formula unit
raw total energy = -5.927 eV per atom
spin magnetization = 0.6 Bohr magnetons per cell

a b c (Å): 4.529 4.529 4.529
angles (deg): 60.00 60.00 60.00
Atoms (fractional coordinates):
Pb 0.500 0.500 0.500
B 0.000 0.000 0.000
Ti 0.250 0.250 0.250
Ti 0.750 0.750 0.750

(2)
Ti3AuN: relaxed, GGA-PBE.

Properties
N(E_F) = 9.57 states/eV per cell
symmetry = R-3c
raw total energy = -7.400 eV per atom
spin magnetization = 0.0 Bohr magnetons per cell
formation energy without anion corrections = -0.3421 eV per atom

a b c (Å): 5.364 5.364 5.364
angles (deg): 89.24 89.24 89.24
Atoms (fractional coordinates):
N 0.250 0.250 0.250
N 0.750 0.750 0.750
Au 0.000 0.000 0.000
Au 0.500 0.500 0.500
Ti 0.998 0.502 0.250
Ti 0.502 0.250 0.998
Ti 0.250 0.998 0.502
Ti 0.750 0.002 0.498
Ti 0.498 0.750 0.002
Ti 0.002 0.498 0.750

(3)
BaMn: relaxed, GGA-PBE.

Properties
N(E_F) = 5.51 states/eV per cell
symmetry = P4/nmm
formation energy = 1.61 eV per formula unit
raw total energy = -4.742 eV per atom
spin magnetization = 0.9 Bohr magnetons per cell

a b c (Å): 3.320 3.320 9.688
angles (deg): 90.00 90.00 90.00
Atoms (fractional coordinates):
Ba 0.000 0.000 0.086
Ba 0.500 0.500 0.664
Mn 0.000 0.000 0.395
Mn 0.500 0.500 0.355

(4)
CdSiRu2: relaxed, GGA-PBE.

Properties
N(E_F) = 3.62 states/eV per cell
symmetry = Pmmm
raw total energy = -5.849 eV per atom
spin magnetization = 0.0 Bohr magnetons per cell
formation energy without anion corrections = 0.3734 eV per atom

a b c (Å): 2.930 4.867 4.321
angles (deg): 90.00 90.00 90.00
Atoms (fractional coordinates):
Cd 0.000 0.500 0.500
Ru 0.000 0.000 0.000
Ru 0.500 0.500 0.000
Si 0.500 0.000 0.500

(5)
K2TmScSe4: relaxed, GGA-PBE.

Properties
N(E_F) = 0.00 states/eV per cell
symmetry = P2/m
raw total energy = -5.049 eV per atom
spin magnetization = 0.0 Bohr magnetons per cell
formation energy without anion corrections = -1.6823 eV per atom

a b c (Å): 4.091 7.081 8.001
angles (deg): 107.17 90.00 90.00
Atoms (fractional coordinates):
K 0.500 0.000 0.500
K 0.000 0.500 0.500
Tm 0.500 0.500 0.000
Sc 0.000 0.000 0.000
Se 0.500 0.225 0.197
Se 0.500 0.775 0.803
Se 0.000 0.258 0.799
Se 0.000 0.742 0.201

(6)
La12PmIn6: relaxed, GGA-PBE.

Properties
N(E_F) = 22.05 states/eV per cell
symmetry = R-3
formation energy = -5.12 eV per formula unit
raw total energy = -4.496 eV per atom
spin magnetization = 0.0 Bohr magnetons per cell

a b c (Å): 8.489 8.489 8.489
angles (deg): 89.68 89.68 89.68
Atoms (fractional coordinates):
La 0.817 0.528 0.436
La 0.436 0.817 0.528
La 0.528 0.436 0.817
La 0.183 0.472 0.564
La 0.564 0.183 0.472
La 0.472 0.564 0.183
La 0.055 0.151 0.390
La 0.849 0.610 0.945
La 0.610 0.945 0.849
La 0.945 0.849 0.610
La 0.151 0.390 0.055
La 0.390 0.055 0.151
Pm 0.000 0.000 0.000
In 0.733 0.879 0.255
In 0.745 0.267 0.121
In 0.121 0.745 0.267
'''
Seconds I have been spent living.... Only one thing that I have done matters! The moment I chose to accept Jesus as my Lord and Savior. The graduations, the accomplishments, the material possessions, don't truly matter! The decision I made long ago does! It will get me and you, if you make the decision, to eternal life with our Creator!
-- begin --
No. 1
Material: Th2Co12Ge7
Method: DFT, GGA-PBE
State: optimized geometry

Cell lengths 3.8260, 9.3990, 9.3990 Å; angles 120.00, 90.00, 90.00 degrees
Fractional coordinates of all 21 atoms:
1 Co 0.5000 0.7046 0.0951
2 Co 0.5000 0.5408 0.7699
3 Ge 0.0000 0.7220 0.9458
4 Co 0.5000 0.9049 0.6095
5 Ge 0.5000 0.4280 0.0609
6 Ge 0.0000 0.2238 0.2780
7 Co 0.5000 0.2291 0.4592
8 Co 0.5000 0.2301 0.7709
9 Co 0.0000 0.4778 0.9466
10 Ge 0.5000 0.9391 0.3672
11 Co 0.5000 0.3905 0.2954
12 Co 0.0000 0.9468 0.2213
13 Co 0.0000 0.4688 0.5222
14 Ge 0.0000 0.3333 0.6667
15 Th 0.0000 0.6667 0.3333
16 Co 0.0000 0.0534 0.5312
17 Ge 0.5000 0.6328 0.5720
18 Th 0.5000 0.0000 0.0000
19 Co 0.0000 0.2745 0.0532
20 Co 0.0000 0.7787 0.7255
21 Ge 0.0000 0.0542 0.7762

Output
M_tot ... 4.5 μB per formula unit
Volume ... 292.71 Å³/cell
VASP energy ... -6.644 eV per atom
DFT formation energy ... -0.3376 eV/atom
Crystal system ... hexagonal

No. 2
Material: FeIrRu2
Method: DFT, GGA-PBE
State: optimized geometry

Cell lengths 2.7581, 4.5003, 4.5367 Å; angles 90.00, 90.00, 90.00 degrees
Fractional coordinates of all 4 atoms:
1 Ru 0.0000 0.0000 0.0000
2 Ru 0.5000 0.5000 0.0000
3 Fe 0.5000 0.0000 0.5000
4 Ir 0.0000 0.5000 0.5000

Output
M_tot ... 4.4 μB per formula unit
Volume ... 56.31 Å³/cell
Energy above the lowest structure with this stoichiometry ... 31.3 kJ per mole of atoms
VASP energy ... -8.644 eV per atom
DFT formation energy ... 0.3252 eV/atom
Crystal system ... orthorhombic

No. 3
Material: Rb2BeI6Br
Method: DFT, GGA-PBE
State: optimized geometry

Cell lengths 8.6755, 8.6755, 8.4909 Å; angles 59.28, 59.28, 90.00 degrees
Fractional coordinates of all 10 atoms:
1 I 0.7560 0.7560 0.0000
2 Br 0.0000 0.0000 0.0000
3 I 0.7560 0.2440 0.0000
4 I 0.6949 0.6949 0.6102
5 I 0.3051 0.3051 0.3898
6 Be 0.5000 0.5000 0.0000
7 I 0.2440 0.2440 0.0000
8 Rb 0.2500 0.7500 0.5000
9 Rb 0.7500 0.2500 0.5000
10 I 0.2440 0.7560 0.0000

Output
M_tot ... 1.0 μB per formula unit
Volume ... 441.85 Å³/cell
VASP energy ... -2.208 eV per atom
Crystal system ... tetragonal
Formation energy from raw total energies ... -0.54 eV/atom

No. 4
Material: Ac3Ge7Pd2
Method: DFT, GGA-PBE
State: optimized geometry

Cell lengths 4.5299, 4.5195, 13.7230 Å; angles 98.81, 90.00, 90.00 degrees
Fractional coordinates of all 12 atoms:
1 Ge 0.5000 0.0856 0.1720
2 Ac 0.0000 0.1913 0.3647
3 Ge 0.0000 0.0000 0.0000
4 Pd 0.5000 0.6232 0.2599
5 Ge 0.0000 0.6358 0.1717
6 Ge 0.5000 0.9144 0.8280
7 Ge 0.0000 0.3642 0.8283
8 Ac 0.0000 0.8087 0.6353
9 Ge 0.5000 0.2730 0.5520
10 Pd 0.5000 0.3768 0.7401
11 Ac 0.5000 0.5000 0.0000
12 Ge 0.5000 0.7270 0.4480

Output
M_tot ... 0.0 μB per formula unit
Volume ... 277.64 Å³/cell
VASP energy ... -5.226 eV per atom
DFT formation energy ... -0.6401 eV/atom
Crystal system ... monoclinic

No. 5
Material: HoZn4Ni2
Method: DFT, GGA-PBE
State: optimized geometry

Cell lengths 5.0294, 5.1951, 5.1951 Å; angles 76.70, 61.24, 61.24 degrees
Fractional coordinates of all 7 atoms:
-- stop --
## So much for the crystal structures
The rest of the day has been spent lounging around with family, watching movies, and relaxing! I opened my birthday present from my parents and fiancé! .... A kitchenaid mixer!!!! I am so excited to use it,(DJ is just as excited... It was a win-win situation for him...happy fiancé and a gift that gives back!) So later tonight I am thinking that I am going to make some homemade chocolate chip cookies! Yummay! Today has been great, and it's not even over!
Here the text breaks off for data records
+++
VBr2ClF after structural relaxation. Source: Alexandria via LeMat-Bulk, functional PBE+U.

a = 5.419 Å, b = 5.419 Å, c = 4.324 Å
α = 90.00°, β = 90.00°, γ = 90.00°
Space group P4/mmm (No. 123)
One atom of each set of equivalent atoms:
V  0.000  0.000  0.000 x1
Br  0.000  0.500  0.500 x2
Cl  0.500  0.500  0.500 x1
F  0.500  0.500  0.000 x1

ρ (g/cm³): 3.5
Uncorrected energy (eV/atom): -2.43

* * * * *

Record 1
The following is a PBE-GGA calculation of a geometry-optimized KZn2Au structure, from Alexandria.

It has space group Cmmm (No. 65), with a = 6.128 Å, b = 10.638 Å, c = 2.778 Å, α = 90.00°, β = 90.00° and γ = 90.00°. The distinct sites, in fractional coordinates, are K at (0.000, 0.000, 0.000), Zn at (0.250, 0.250, 0.500) and Au at (0.000, 0.500, 0.000).

For the energy above the most stable polymorph in this dataset, the calculation gives 439 meV/atom. The total magnetic moment comes out at 0.00 μB/atom. Its energy of formation from the pure elements is 21 kJ/mol of atoms.



Record 2
The following is a PBE-GGA calculation of a geometry-optimized K4Zn2Au5 structure, from Alexandria.

It has space group Ibam (No. 72), with a = 9.679 Å, b = 21.980 Å, c = 5.592 Å, α = 90.00°, β = 90.00° and γ = 90.00°. The distinct sites, in fractional coordinates, are K at (0.110, 0.142, 0.000), K at (0.208, 0.448, 0.000), Zn at (0.000, 0.280, 0.250), Au at (0.000, 0.000, 0.250), Au at (0.067, 0.381, 0.500) and Au at (0.214, 0.237, 0.500).

The total magnetic moment comes out at 0.00 μB/atom. Its energy of formation from the pure elements is -19 kJ/mol of atoms.



Record 3
The following is a PBE-GGA calculation of a geometry-optimized K12Zn3Au5 structure, from Alexandria.

It has space group Ia-3d (No. 230), with a = 20.122 Å, b = 20.122 Å, c = 20.122 Å, α = 90.00°, β = 90.00° and γ = 90.00°. The distinct sites, in fractional coordinates, are K at (0.023, 0.068, 0.650), Zn at (0.000, 0.250, 0.125), Au at (0.000, 0.000, 0.000) and Au at (0.000, 0.250, 0.375).

The total magnetic moment comes out at 0.09 μB/atom. Its energy of formation from the pure elements is 2 kJ/mol of atoms.



Record 4
The following is a PBE-GGA calculation of a geometry-optimized K4ZnAu2 structure, from Alexandria.
+++
A special thank you to this who have called, texted, posted on my wall, messaged me, or sent a card! I am blessed with amazing friends and family!